Brief =
Could you give back the calculation results underneath from the line with "(0.418, 0.700," to the end with every line break kept?
Material =
- - -
Here is Mn5Ge2N6 after structural relaxation from Materials Project. Energies are from PBE-GGA.

Lattice parameters (Å, degrees): 6.766 4.873 9.418 90.00 92.20 111.11
Positions (direct):
Mn (0.214, 0.223, 0.220)
N (0.921, 0.005, 0.628)
Mn (0.000, 0.626, 0.250)
Ge (0.507, 0.714, 0.095)
Mn (0.030, 0.275, 0.493)
Ge (0.507, 0.793, 0.595)
N (0.079, 0.084, 0.872)
Mn (0.214, 0.991, 0.720)
N (0.822, 0.383, 0.390)
Mn (0.000, 0.374, 0.750)
Mn (0.786, 0.777, 0.780)
N (0.460, 0.170, 0.607)
N (0.822, 0.439, 0.890)
Mn (0.786, 0.009, 0.280)
N (0.178, 0.617, 0.610)
Ge (0.493, 0.286, 0.905)
Mn (0.970, 0.245, 0.007)
Mn (0.030, 0.755, 0.993)
N (0.460, 0.290, 0.107)
Mn (0.970, 0.725, 0.507)
N (0.921, 0.916, 0.128)
N (0.540, 0.710, 0.893)
Ge (0.493, 0.207, 0.405)
N (0.178, 0.561, 0.110)
N (0.079, 0.995, 0.372)
N (0.540, 0.830, 0.393)

Here is CdP2O6 after structural relaxation from Materials Project. Energies are from PBE-GGA.

Lattice parameters (Å, degrees): 7.168 9.822 13.866 90.00 90.00 90.00
Positions (direct):
O (0.638, 0.403, 0.326)
P (0.082, 0.200, 0.597)
P (0.582, 0.300, 0.403)
O (0.362, 0.903, 0.174)
O (0.519, 0.201, 0.628)
P (0.685, 0.288, 0.606)
O (0.844, 0.638, 0.003)
O (0.519, 0.299, 0.128)
O (0.862, 0.846, 0.895)
O (0.362, 0.846, 0.605)
O (0.019, 0.299, 0.372)
O (0.858, 0.186, 0.588)
O (0.138, 0.154, 0.105)
O (0.138, 0.403, 0.174)
O (0.862, 0.597, 0.826)
P (0.315, 0.788, 0.894)
O (0.481, 0.799, 0.372)
O (0.362, 0.597, 0.674)
O (0.358, 0.314, 0.412)
O (0.362, 0.654, 0.105)
O (0.138, 0.346, 0.605)
P (0.185, 0.212, 0.394)
O (0.638, 0.097, 0.826)
O (0.858, 0.314, 0.088)
Cd (0.051, 0.508, 0.706)
P (0.082, 0.300, 0.097)
O (0.981, 0.701, 0.628)
P (0.918, 0.700, 0.903)
P (0.815, 0.712, 0.106)
Cd (0.449, 0.008, 0.706)
O (0.981, 0.799, 0.128)
O (0.741, 0.101, 0.176)
O (0.019, 0.201, 0.872)
Cd (0.949, 0.492, 0.294)
P (0.315, 0.712, 0.394)
Cd (0.449, 0.492, 0.206)
O (0.642, 0.686, 0.588)
P (0.185, 0.288, 0.894)
O (0.358, 0.186, 0.912)
O (0.638, 0.346, 0.895)
O (0.344, 0.862, 0.997)
P (0.918, 0.800, 0.403)
O (0.241, 0.101, 0.324)
O (0.156, 0.138, 0.497)
O (0.741, 0.399, 0.676)
P (0.418, 0.700, 0.597)
Cd (0.051, 0.992, 0.206)
O (0.138, 0.097, 0.674)
O (0.759, 0.899, 0.676)
O (0.481, 0.701, 0.872)
O (0.656, 0.138, 0.003)
P (0.582, 0.200, 0.903)
O (0.142, 0.814, 0.412)
Cd (0.949, 0.008, 0.794)
O (0.344, 0.638, 0.497)
O (0.156, 0.362, 0.997)
P (0.418, 0.800, 0.097)
O (0.656, 0.362, 0.503)
O (0.844, 0.862, 0.503)
O (0.642, 0.814, 0.088)
O (0.862, 0.903, 0.326)
O (0.142, 0.686, 0.912)
O (0.259, 0.601, 0.324)
O (0.638, 0.154, 0.395)
O (0.759, 0.601, 0.176)
P (0.685, 0.212, 0.106)
O (0.862, 0.654, 0.395)
P (0.815, 0.788, 0.606)
Cd (0.551, 0.508, 0.794)
Cd (0.551, 0.992, 0.294)
O (0.259, 0.899, 0.824)
O (0.241, 0.399, 0.824)

Here is CaB2C6 after structural relaxation from Materials Project. Energies are from PBE-GGA.

Lattice parameters (Å, degrees): 6.354 5.210 5.156 75.61 52.58 51.81
Positions (direct):
C (0.082, 0.082, 0.418)
B (0.577, 0.091, 0.909)
C (0.411, 0.914, 0.086)
C (0.421, 0.421, 0.079)
Ca (0.001, 0.001, 0.999)
C (0.921, 0.921, 0.579)
B (0.091, 0.577, 0.423)
C (0.914, 0.411, 0.589)
C (0.582, 0.582, 0.918)

Here is LiGe after structural relaxation from Materials Project. Energies are from PBE-GGA.

Lattice parameters (Å, degrees): 12.022 12.022 12.022 160.51 160.51 27.70
Positions (direct):
Ge (0.500, 0.500, 0.000)
Ge (0.327, 0.327, 0.000)
Ge (0.077, 0.577, 0.500)
Li (0.750, 0.250, 0.500)
Li (0.163, 0.163, 0.000)
Li (0.587, 0.087, 0.500)
Li (0.913, 0.413, 0.500)
Ge (0.423, 0.923, 0.500)
Ge (0.250, 0.750, 0.500)
Li (0.000, 0.000, 0.000)
Ge (0.673, 0.673, 0.000)
Li (0.837, 0.837, 0.000)

Number 1: ΔH_f (0 K) -0.008 eV per atom. Number 2: ΔH_f (0 K) -2.440 eV per atom. Number 3: ΔH_f (0 K) -0.154 eV per atom. Number 4: ΔH_f (0 K) -0.275 eV per atom.

* * * * *

Compound: K6Tl2Sb3
Source: the Materials Project database
Functional: PBE
Structure: optimized geometry

Calculated values
E_form, eV/atom: -0.44
Crystal system: monoclinic
- - -
Here it is =
P (0.418, 0.700, 0.597)
Cd (0.051, 0.992, 0.206)
O (0.138, 0.097, 0.674)
O (0.759, 0.899, 0.676)
O (0.481, 0.701, 0.872)
O (0.656, 0.138, 0.003)
P (0.582, 0.200, 0.903)
O (0.142, 0.814, 0.412)
Cd (0.949, 0.008, 0.794)
O (0.344, 0.638, 0.497)
O (0.156, 0.362, 0.997)
P (0.418, 0.800, 0.097)
O (0.656, 0.362, 0.503)
O (0.844, 0.862, 0.503)
O (0.642, 0.814, 0.088)
O (0.862, 0.903, 0.326)
O (0.142, 0.686, 0.912)
O (0.259, 0.601, 0.324)
O (0.638, 0.154, 0.395)
O (0.759, 0.601, 0.176)
P (0.685, 0.212, 0.106)
O (0.862, 0.654, 0.395)
P (0.815, 0.788, 0.606)
Cd (0.551, 0.508, 0.794)
Cd (0.551, 0.992, 0.294)
O (0.259, 0.899, 0.824)
O (0.241, 0.399, 0.824)

Here is CaB2C6 after structural relaxation from Materials Project. Energies are from PBE-GGA.

Lattice parameters (Å, degrees): 6.354 5.210 5.156 75.61 52.58 51.81
Positions (direct):
C (0.082, 0.082, 0.418)
B (0.577, 0.091, 0.909)
C (0.411, 0.914, 0.086)
C (0.421, 0.421, 0.079)
Ca (0.001, 0.001, 0.999)
C (0.921, 0.921, 0.579)
B (0.091, 0.577, 0.423)
C (0.914, 0.411, 0.589)
C (0.582, 0.582, 0.918)

Here is LiGe after structural relaxation from Materials Project. Energies are from PBE-GGA.

Lattice parameters (Å, degrees): 12.022 12.022 12.022 160.51 160.51 27.70
Positions (direct):
Ge (0.500, 0.500, 0.000)
Ge (0.327, 0.327, 0.000)
Ge (0.077, 0.577, 0.500)
Li (0.750, 0.250, 0.500)
Li (0.163, 0.163, 0.000)
Li (0.587, 0.087, 0.500)
Li (0.913, 0.413, 0.500)
Ge (0.423, 0.923, 0.500)
Ge (0.250, 0.750, 0.500)
Li (0.000, 0.000, 0.000)
Ge (0.673, 0.673, 0.000)
Li (0.837, 0.837, 0.000)

Number 1: ΔH_f (0 K) -0.008 eV per atom. Number 2: ΔH_f (0 K) -2.440 eV per atom. Number 3: ΔH_f (0 K) -0.154 eV per atom. Number 4: ΔH_f (0 K) -0.275 eV per atom.

* * * * *

Compound: K6Tl2Sb3
Source: the Materials Project database
Functional: PBE
Structure: optimized geometry

Calculated values
E_form, eV/atom: -0.44
Crystal system: monoclinic